- Show Date: 29/05/2019
- Show Type: Open/Limited/Sanction
- Judged by: Nick Gourley Contact Judge
- Published Date: 27/07/2023
Reading & District Kennel Association
J (6,2) 1st Saffer’s Ragemma Upsa Daisy. What a beauty. Loved her head in perfect proportion to her body. Large dark eyes. Being picky perhaps like a slightly smaller ear but they were neat and symmetrical. Obvious width to her lower jaw and perfectly aligned teeth. Width followed through her head. Of ideal size and so square and cobby. In tip top condition. Plenty of substance without an ounce of fat. Short thick neck with a crest. Level top line and neat tight curl. Super short fine coat. Moved soundly away and back with slight roll of hind quarters – well collected in side gait. BOB. 2nd Harris’ Conquell No Harm No Charm. Very confident and showed well. Large round head with neat ears and large dark eye. Really liked the finish to her forehead, her open nostril and width to her underjaw. Not quite as compact and square as I would like. Looking a little immature in body and would prefer tighter curl.
PG (6,2) 1st Ward’s Delwins Sweet Rose Bud. I like the width of her underjaw. Her dark eyes could have been larger ideally. A little heavy in nose roll which detracted. Neat small ears. An ideal size and square as they come in shape. Really cobby bitch with a perfect high-set, tight curl. Fine short coat. Was moving very close behind today. RBOB. 2nd Beech & Schofield’s Tidemill Austin Powers. Similar comments apply in head to the winner although he has lovely large round eyes which give him a better expression although they could be a little darker in colour. Cobby and square in body. Not so happy today which showed in his overall performance. A very sound mover.
O (4,0) 1st Beech & Schofield’s Tidemill Thomas Little ShCM. He has such a fabulous head and expression and would have pushed the winner hard on another day. Wide jaw, open nostril, large dark eyes and neat finish to forehead. Small neat ears. Thick neck and cobby in body. Perfectly straight front and strength of bone. Strong hocks. Not happy on the move today and not as collected as his confirmation suggested he should have been. 2nd Alexander’s Hugapug Nutcracker Treveth JW ShCM. A very compact square dog who presents a typical overall outline. Large expressive eyes which I felt could have been darker. Neat ears set well. Short neck into well laid shoulders, Very sound on the move. Heavy black shading throughout the coat which would have been acceptable if restricted to a trace but no contrast at all which detracted.
Thank you for bringing a super selection of Affenpinschers for me to assess. I was delighted to see the Group judge approved of and rewarded my choice for BOB and BPIB; especially as he is an Affie-man.
Theoretical XRD peak list of BaGd2Mn2O7 for Cu Ka, from a GGA+U-relaxed structure.
Peak positions follow from Bragg's law for the DFT cell and can differ from measured ones.

Crystal structure
Cell lengths 5.644, 5.644, 20.107 Å; angles 90.00, 90.00, 90.00 degrees
Fractional positions:
Ba: 0.244 0.244 0.000
Ba: 0.256 0.744 0.500
Ba: 0.744 0.256 0.500
Ba: 0.756 0.756 0.000
Gd: 0.225 0.225 0.184
Gd: 0.225 0.225 0.816
Gd: 0.275 0.725 0.316
Gd: 0.275 0.725 0.684
Gd: 0.725 0.275 0.316
Gd: 0.725 0.275 0.684
Gd: 0.775 0.775 0.184
Gd: 0.775 0.775 0.816
Mn: 0.245 0.245 0.397
Mn: 0.245 0.245 0.603
Mn: 0.255 0.745 0.103
Mn: 0.255 0.745 0.897
Mn: 0.745 0.255 0.103
Mn: 0.745 0.255 0.897
Mn: 0.755 0.755 0.397
Mn: 0.755 0.755 0.603
O: 0.000 0.000 0.098
O: 0.000 0.000 0.374
O: 0.000 0.000 0.626
O: 0.000 0.000 0.902
O: 0.000 0.500 0.113
O: 0.000 0.500 0.387
O: 0.000 0.500 0.613
O: 0.000 0.500 0.887
O: 0.190 0.810 0.211
O: 0.190 0.810 0.789
O: 0.227 0.227 0.500
O: 0.273 0.727 0.000
O: 0.310 0.310 0.289
O: 0.310 0.310 0.711
O: 0.500 0.000 0.113
O: 0.500 0.000 0.387
O: 0.500 0.000 0.613
O: 0.500 0.000 0.887
O: 0.500 0.500 0.126
O: 0.500 0.500 0.402
O: 0.500 0.500 0.598
O: 0.500 0.500 0.874
O: 0.690 0.690 0.289
O: 0.690 0.690 0.711
O: 0.727 0.273 0.000
O: 0.773 0.773 0.500
O: 0.810 0.190 0.211
O: 0.810 0.190 0.789

Most intense lines, 2θ = 5–70°, sorted by position:
index  Position (°2θ)  d_spacing  I_rel
1 1 1  22.72  3.914  20
0 0 6  26.60  3.351  14
1 1 5  31.59  2.833  100
2 0 0  31.71  2.822  60
2 0 6  41.85  2.158  23
2 2 0  45.46  1.995  32
1 1 11  55.28  1.662  12
2 0 10  56.17  1.638  14
3 1 5  56.41  1.631  36
2 2 10  65.95  1.416  11

=====

Structure and simulated powder diffractogram of Li2VCrO4 (a GGA+U-relaxed structure; copper Kα).
Kinematic intensities with the Lorentz-polarization factor, no thermal factor.

Crystal structure
```
Li2VCrO4
1.0
5.1746 0.0000 0.0000
0.0000 2.9726 0.0000
-1.7738 0.0000 4.8912
Li V Cr O
2 1 1 4
direct
0.0000 0.0000 0.0000 Li
0.0000 0.5000 0.5000 Li
0.5000 0.0000 0.5000 V
0.5000 0.5000 0.0000 Cr
0.2728 0.0000 0.7605 O
0.2739 0.5000 0.2547 O
0.7261 0.5000 0.7453 O
0.7272 0.0000 0.2395 O
```

Peak list (10 most intense, 2θ = 10–90°, low angle first)
- 2θ 18.24, I 100
- 2θ 35.00, I 14
- 2θ 35.33, I 27
- 2θ 36.92, I 11
- 2θ 42.56, I 29
- 2θ 42.99, I 57
- 2θ 46.92, I 13
- 2θ 56.85, I 9
- 2θ 61.95, I 16
- 2θ 62.23, I 15

=====

Entry 1:
Diffraction record for CrO2. The powder XRD pattern is calculated, not measured: it uses a crystal structure in the Materials Project, relaxed with GGA+U and Cu Ka.

Lattice parameters (Å, degrees): 5.944 5.946 14.362 89.89 89.95 60.06
Sites, in units of the cell vectors:
Cr (0.000, 0.000, 0.000)
Cr (0.000, 0.000, 0.377)
Cr (0.175, 0.174, 0.165)
Cr (0.175, 0.649, 0.165)
Cr (0.333, 0.833, 0.832)
Cr (0.503, 0.502, 0.496)
Cr (0.504, 0.990, 0.500)
Cr (0.649, 0.174, 0.165)
Cr (0.669, 0.663, 0.667)
Cr (0.833, 0.331, 0.832)
Cr (0.834, 0.832, 0.832)
Cr (0.992, 0.503, 0.498)
O (0.000, 0.998, 0.248)
P (4,1) Two very promising litter sisters and a so very similar. Super temperaments, full of mischief. Eye shape and set just right and equidistant to nose. Good turn up with tight lips. Both compact in body with tail set and carried high. Coat already of good texture for age, nice and harsh. The winner just a little bit more parallel when going away. Should both have a bright future. 1st Pirrie’s Faehat Betsi Cadwaladr Riogaioch. BPIB & PG2. 2nd Currie’s Faehat Fascinator.
J (5,0) 1st McEvcoy & Pirrie’s Tamarin Tucson (imp USA). Such a confident showman and would have loved to do a bit of stand up I’m sure. Loved the size of his head in proportion to his body. Just the right expression and dark eye to compliment. Nice and sturdy in body with a harsh coat. Just tended to crab a bit in full trot which cost him a rosette today. 2nd Cary’s No Strings Attached at Carycares. A larger framed bitch with such a typical outline overall and very good proportions. Her head carriage, her short back and thick high set tail set draw your attention. She has a typical monkey expression; I would prefer a slightly darker eye. Moved really well in profile.
PG (4,0) 1st Pirrie & McEvoy’s Priscila Queen Of The Desert. Seriously on form and came to strut her stuff. A. tail that never stopped wagging and at times she was so excited it looked a little flat on her back which was initially deceptive. Loved her typical character and attitude. An ideal size and so compact in body with well sprung ribs. Loved her chimp-like expression, dark sparkling eyes and small high set ears. Turned up chin with tight lips and neat teeth. Short in neck. Coat of harsh texture with shaggy where it matters to give desired monkey look. Moved very soundly – I guess could have lifted her feet a little higher but that would have taken concentration and effort and she was here for the craic. BOB & G3. 2nd Pirrie & McEvoy’s Florindale Secret Copy. Another with very typical head and expression which stole the 2nd spot. Nice and compact in body and showed really well. Lovely straight front but finer boned all through than the winner. Not so positive on the move going away. Showed better lift in front.
O (3,0) 1st Currie’s Venustus Milliners Man for Faehat. Lots to like of this young dog. Initially found him a bit up on his leg but he is deceptive and is in fact very balanced in body with long rib, shorter loin and not too deep in the chest as required. I loved his head for size and shape with perfect symmetrical high set ears; perhaps eyes a little darker for ideal but he has an open nose and very neat finish to his turned up chin. Moved with desired lift and sound away and back. RBOB. 2nd Teasdale’s Tonsarne Lady Mawkin. Immediately noticed the compact body and short straight back as she came in the ring. Very typical monkey like expression with dark medium shape eyes balanced equilaterally with the nose. Very neat turned up chin and width to undershot jaw. Not so happy initially and tail wavered although managed to see it was set high and would be carried well relaxed. Moved steadily and sound away.
Cavalier King Charles Spaniels BPIB & PG2
P (8,3) 1st Hogan’s Stavonga’s Wendy’s Song. A perfectly balanced puppy bitch of ideal size and shape. She grabs your attention as a happy toy spaniel. A soft gentle expression with most beautiful eyes and perfectly set ears. Elegant neck of moderate length with slight crest. Tail never stopped wagging and was carried just right and never above her top line. A well broken Blenheim pattern with symmetrical markings a perfectly formed lozenge. Coat developing well and presented immaculately. BPIB. 2nd Rhodes’ Calonlan Hendricks. Instantly appealed for his overall size and compact shape. Only just 7 months but already a happy self-assured spaniel. Head already has the desired soft gentle expression and ears are set well with feathering developing. A very rich chestnut colour with well broken Blenheim markings. Moved really steadily and sound away and back.
J (4,1) 1st Rix ‘s Ricksbury Royal Heritage. Only a young junior dog but already has ring presence. He cannot stand wrong and looks so balanced overall whether stood or on the move. He entered the ring with a confident jolly disposition and wagged his tail throughout proceedings. His head is divine with an expression that melts you….those eyes. Ears are set high and have plenty of feathering. He is short coupled and has good length of rib. Moved with free flowing action and so sound away and back well. Coat in perfect condition; silky and free from curl. Rich chestnut markings well broken up and added benefit of breed typical lozenge. BOB & G2. 2nd Yeates’ Merryanna Easter Buddy. Another well marked Blenheim who was compact in body despite being a little taller on leg than ideal. Ribs carried well back. Very typical head with gentle expression. Ears set high and skull nice and flat between ears. Large dark round eyes with soft expression. Moved well in side gait.
Y ( 4,0) 1st Taylor’s Vonnyisle Portia at Taybar. Such a very pretty bitch. Smaller head with high set ears. I loved her sweet expression and she has ‘the’ eyes. Very well balanced overall nicely short coupled with a tail carried low whether stood or on the move. Sound away and back and had very good footfall in side gait. 2nd Yeates’ Merryanna Easter Buddy.
N (1,0) 1st Yeates’ Merryanna Easter Buddy.
PG (2,1) 1st Goodwin’s Lanola Santuzza JW. Lovely size and overall shape to this young bitch. Liked her large dark round eyes and gentle expression. Well-proportioned muzzle. Flat top of head and high set ears. Dark chestnut markings but would prefer more break in pattern. A little out of coat today. Moved soundly.
O (6,0) 1st Bubb’s Wandris Evanly Legacy JW. A real battle for BOB as this is also a beautifully headed dog who instantly catches the eye. Soft gentle expression and large dark round eyes. Ears set high and already well feathered. Slight arch to his neck and very well laid shoulders. His well developed fore-chest just knits the forequarters together. Like him a fraction shorter in loin compared to the BOB winner and I mean a fraction. Very sound on the move with freedom of action. Well broken chestnut markings, silky coat and toned body. RBOB. 2nd Culverhill Cianna at Capriconia. What a beautifully headed ruby bitch who looks in her absolute prime. My notes say simply ‘stunning head’. She is short-coupled in body and has just the right proportions to create a really balanced outline stood. She was sound on the move but a little proud of her tail at times which detracted today in such tough competition.
Av Junior Stakes (49,29)
1st Robertson’s PBGV Soletrader Party In Paris. What a confident hound puppy. Such a soft gentle yet intelligent expression. Strength to muzzle and in proportion to overall head with perfect dentition and big useful shiny nose. Ears fine and hanging perfectly. So balanced when stacked and her confirmation is superb. Loved her scopey neck which already had plenty of muscle tone. Fore chest well developed for age and those shoulders !! A joy to watch in side gait – looks like she could go for days. Rough coat of harsh texture and developing well for age.
2nd Carter’s Lhasa Apso Belazieth Sundance Kid with Alamika. An immaculately presented Lhasa Apso who never put a foot wrong and clearly had serious intentions. His overall balance and typical shape made for an unmistakeable Lhasa outline. Carries his head proudly with slight arch to neck. Loved his expression and very neat dentition with strength to underjaw. Good length of rib and compact in body. Tail set high and carried well with feathering. Moved soundly with drive.